........
1.
This record from the Alexandria database describes a relaxed structure of NdLu2Mg. The functional is PBE.

energy above the lowest structure with this stoichiometry: 42.4 meV per atom
magnetic moment: 0.000 μB/atom
calculated formation energy: 10 kJ/mol of formula units
calculated volume: 117.5 Å³/cell

Unit cell a=4.9630 b=4.8648 c=4.8648 alpha=90.00 beta=90.00 gamma=90.00
Last column: nearest neighbours and their distance in Å.
Fractional coordinates of all 4 atoms:
Mg  0.5000  0.5000  0.5000  4 Nd 3.44, 8 Lu 3.47
Lu  0.0000  0.0000  0.5000  4 Lu 3.44, 4 Mg 3.47, 4 Nd 3.47
Lu  0.0000  0.5000  0.0000  4 Lu 3.44, 4 Mg 3.47, 4 Nd 3.47
Nd  0.5000  0.0000  0.0000  4 Mg 3.44, 8 Lu 3.47

***

2.
This record from the Alexandria database describes a relaxed structure of NdLuMgOs. The functional is PBE.

magnetic moment: 0.000 μB/atom
calculated formation energy: -32 kJ/mol of formula units
calculated volume: 89.9 Å³/cell

Unit cell a=5.0282 b=5.0282 c=5.0282 alpha=60.00 beta=60.00 gamma=60.00
Last column: nearest neighbours and their distance in Å.
Fractional coordinates of all 4 atoms:
Os  0.5000  0.5000  0.5000  4 Nd 3.08, 4 Lu 3.08
Mg  0.0000  0.0000  0.0000  4 Nd 3.08, 4 Lu 3.08
Lu  0.2500  0.2500  0.2500  4 Os 3.08, 4 Mg 3.08
Nd  0.7500  0.7500  0.7500  4 Mg 3.08, 4 Os 3.08

***

3.
This record from the Alexandria database describes a relaxed structure of NdLuMgPa. The functional is PBE.

magnetic moment: 0.000 μB/atom
calculated formation energy: 135 kJ/mol of formula units
calculated volume: 111.2 Å³/cell

Unit cell a=5.3977 b=5.3977 c=5.3977 alpha=60.00 beta=60.00 gamma=60.00
Last column: nearest neighbours and their distance in Å.
Fractional coordinates of all 4 atoms:
Nd  0.2500  0.2500  0.2500  4 Mg 3.31, 4 Pa 3.31
Mg  0.0000  0.0000  0.0000  4 Lu 3.31, 4 Nd 3.31
Pa  0.5000  0.5000  0.5000  4 Nd 3.31, 4 Lu 3.31
Lu  0.7500  0.7500  0.7500  4 Pa 3.31, 4 Mg 3.31

----------

Density functional theory data (PBE with a Hubbard U) for a geometry-optimized VTeO2F structure.

Cell and atoms, written as POSCAR:
```
VTeO2F
1.0
4.191 0.000 0.000
0.000 4.191 0.000
0.000 0.000 4.655
V Te O F
1 1 2 1
Cartesian
0.000 0.000 0.000
2.096 2.096 2.328
0.000 2.096 2.328
2.096 0.000 2.328
2.096 2.096 0.000
```

Output
E   -5.004 eV per atom
Crystal system   tetragonal
........

Now type out the lines earlier on up to the one that holds "a=5.0282 b=5.0282", that line included.

1.
This record from the Alexandria database describes a relaxed structure of NdLu2Mg. The functional is PBE.

energy above the lowest structure with this stoichiometry: 42.4 meV per atom
magnetic moment: 0.000 μB/atom
calculated formation energy: 10 kJ/mol of formula units
calculated volume: 117.5 Å³/cell

Unit cell a=4.9630 b=4.8648 c=4.8648 alpha=90.00 beta=90.00 gamma=90.00
Last column: nearest neighbours and their distance in Å.
Fractional coordinates of all 4 atoms:
Mg  0.5000  0.5000  0.5000  4 Nd 3.44, 8 Lu 3.47
Lu  0.0000  0.0000  0.5000  4 Lu 3.44, 4 Mg 3.47, 4 Nd 3.47
Lu  0.0000  0.5000  0.0000  4 Lu 3.44, 4 Mg 3.47, 4 Nd 3.47
Nd  0.5000  0.0000  0.0000  4 Mg 3.44, 8 Lu 3.47

***

2.
This record from the Alexandria database describes a relaxed structure of NdLuMgOs. The functional is PBE.

magnetic moment: 0.000 μB/atom
calculated formation energy: -32 kJ/mol of formula units
calculated volume: 89.9 Å³/cell

Unit cell a=5.0282 b=5.0282 c=5.0282 alpha=60.00 beta=60.00 gamma=60.00